California’s flavored tobacco ban causes mixed feelings among Sacramento locals
by Kelby McIntosh, Contributing Writer
CONCORD, California – It’s one in the morning on the south end of Contra Costa Boulevard at Lucky’s Food & Liquor. Amid a newly stocked wall of brightly colored cigarette boxes, Rashid Malhi, Owner of Lucky’s, has to rework his merchandise in the store.
Malhi says, “retailers need help to adhere to the various bans, which have varying levels of restrictiveness.”
**Misplaced calculated molecules:**
┌──
Run P
7
Properties=species:S:1:pos:R:3 method="wB97M-V/def2-TZVPD" total_charge=0 smiles="O=CI.O" orbital_gap_ev=9.9808
C -0.895 0.724 -1.364
O -1.447 0.534 -2.389
O 0.955 -0.873 1.223
I -1.880 0.508 0.529
H 0.302 0.897 -1.180
H 1.135 -0.447 2.037
H 1.831 -1.343 1.143

Run Q
7
Properties=species:S:1:pos:R:3 method="wB97M-V/def2-TZVPD" total_charge=0 orbital_gap_ev=8.7950
C 1.016 0.244 -0.664
O 0.281 -0.493 -1.250
O -0.451 0.305 1.768
I -2.030 -0.510 1.116
H 2.081 0.177 -0.730
H 0.604 0.818 0.152
H -1.500 -0.540 -0.393

Which of them is least stable? Easy: run Q.

Run P
16
Properties=species:S:1:pos:R:3 method="wB97M-V/def2-TZVPD" total_charge=0 orbital_gap_ev="8.4972 / 6.8430"
C 1.277 0.202 -0.297
C 2.152 0.862 0.739
C -2.022 1.020 -0.194
C -0.581 -1.359 -0.576
N 0.319 -0.733 0.213
O 1.329 0.461 -1.469
S -1.626 -2.556 0.216
Cl -0.751 1.989 0.405
H 2.282 0.487 1.735
H 3.182 1.040 0.369
H 1.705 1.798 0.827
H -2.124 1.201 -1.300
H -2.728 0.620 0.573
H -0.415 -1.085 -1.609
H 0.166 -0.881 1.276
H -2.168 -3.067 -0.910

Run Q
16
Properties=species:S:1:pos:R:3 method="wB97M-V/def2-TZVPD" total_charge=0 orbital_gap_ev="3.6861 / 2.6972"
C 1.024 -0.419 -0.616
C -0.120 -0.356 0.451
C 2.266 -0.968 -0.164
C -1.537 1.541 -0.416
N -1.449 0.173 -0.001
O -4.159 -0.107 -0.016
S -2.915 -0.710 0.486
Cl 3.412 -0.035 0.677
H 0.668 -1.027 -1.416
H 1.121 0.623 -0.836
H -0.407 -1.307 0.881
H 0.443 0.157 1.377
H 2.653 -1.952 -0.270
H -0.703 1.851 -0.991
H -2.572 1.605 -0.837
H -1.486 2.181 0.530

Which of them is least stable? Easy: run Q.

Run P
18
Properties=species:S:1:pos:R:3 method="wB97M-V/def2-TZVPD" total_charge=0 orbital_gap_ev=6.8118
O 2.166 1.336 -1.701
C 1.516 0.435 -1.257
O 2.005 -0.772 -1.105
C 0.147 0.623 -0.490
C 1.020 1.376 1.071
C 0.228 0.160 0.984
S -0.784 -2.014 -0.884
H 1.231 -1.343 -0.895
H -0.528 -0.132 -1.018
H -0.316 1.606 -0.614
H 2.082 1.445 0.897
H 0.405 2.218 1.354
H 0.782 -0.702 1.327
H -0.733 0.221 1.494
H -1.739 -2.451 -1.705
H -2.110 -0.904 0.189
H -2.781 -0.838 1.544
O -2.591 -0.265 0.808

Run Q
18
Properties=species:S:1:pos:R:3 method="wB97M-V/def2-TZVPD" total_charge=0 smiles="C[C@@H](O)SO.C=CO" orbital_gap_ev=8.7426
C -2.052 1.975 -0.070
C 1.610 -1.867 0.648
C -1.320 2.112 1.037
C 1.159 -0.626 -0.123
O -0.931 -2.181 -1.269
O -0.045 2.726 0.974
O 1.710 -0.286 -1.320
S -0.727 -0.909 -0.106
H -1.567 -1.622 -1.860
H -1.633 1.962 -1.107
H -3.003 1.390 0.026
H 1.899 -2.751 0.025
H 2.600 -1.611 1.131
H 0.843 -2.240 1.303
H -1.675 2.121 2.059
H 1.281 0.238 0.523
H 0.361 2.651 0.070
H 1.490 -1.083 -1.942

Which of them is least stable? Easy: run P.

Run P
10
Properties=species:S:1:pos:R:3 method="wB97M-V/def2-TZVPD" total_charge=0 orbital_gap_ev=10.3281
C 0.868 0.238 0.306
C 0.088 -1.037 -0.320
C -0.329 1.080 0.012
H -0.136 -2.006 0.197
H 0.319 -1.106 -1.483
H -2.368 -0.200 0.099
N -1.094 -0.059 -0.275
O -0.667 2.257 0.052
F 0.848 0.128 1.654
Cl 2.472 0.706 -0.241

Run Q
10
└──
Malhi is just one of many stores feeling the pressure of Senate Bill 793, the ban on flavored tobacco products. “What are they going to do with all the products? They’re waiting for (the California Department of Tax and Fee Administration) to issue tax write-offs,” he said.
Three years ago, advocates for reducing smoking and vaping in California won a significant victory when they persuaded the state Legislature to adopt Senate Bill 793, a ban on the sale of flavored tobacco products, despite an intense industry lobbying campaign. Under the new statewide ban, most flavored tobacco products are banned from being sold. The law exempts hookah, pipes, loose-leaf tobacco, and cigars valued at over $10.
Despite the outcry of tobacco retailers, Black lawmakers argue that the tobacco industry targets African Americans. “The black community has long been subjected to the predatory marketing of mentholated tobacco products,” says Dr. Valerie Yerger, a University of California, San Francisco health policy researcher and founding member of the African American Tobacco Control Leadership Council.
The American Lung Association quantifies the disproportionate harm from menthol cigarettes was responsible for 1.5 million new smokers and 157,000 smoking-related premature deaths of Black Americans. “If menthol cigarettes are allowed to stay in the marketplace, the lives of African Americans and others remain at increased risk,” says Yerger.
A nationwide survey has found that e-cigarettes have been the most popular tobacco product among middle and high school students for the ninth year. Dr. Yerger says, “We can no longer ignore the intersecting, overlapping, and distinctive systems of oppression that shape ‘being black in America’ and how menthol cigarettes contribute to widening health disparities.”
But, despite a statewide ban prohibiting the sale of these products, concerns over the public backlash, political feasibility, and potential cuts to programs funded by tobacco taxes are all factors. As he reflects on his store’s lost merchandise, Malhi says, “The actual issue is that the state rushed to enforce the law.”
“When we look at the need to protect African Americans from the predatory exploitation of the tobacco industry, we need to look at the fact that a menthol ban will protect them,” according to Valerie Yerger, protecting the youth was one of many reasons for and needed the ban on flavored tobacco.
~~~
1.
DFT (ωB97M-V/def2-TZVPD) results for a molecular structure, C4H6Br2Cl2.

Values from the calculation:
HOMO level = -9.6 eV
Kohn-Sham gap = 0.37102 Ha

Element x y z (Å)
C1 2.12 0.08 -0.76
C2 -1.56 -0.35 2.18
C3 0.82 0.51 -1.40
C4 -2.12 -0.62 1.02
Cl1 -0.14 1.48 -0.25
Cl2 1.13 1.50 -2.84
Br1 -3.55 0.36 0.28
Br2 -1.57 -2.09 -0.05
H1 1.92 -0.60 0.07
H2 2.74 -0.43 -1.50
H3 2.66 0.94 -0.38
H4 -1.89 0.50 2.76
H5 0.20 -0.34 -1.71
H6 -0.76 -0.94 2.57

Löwdin atomic charge list, values in e, 2 entries: atom 1 (C): -0.200, atom 2 (C): -0.161

***

2.
DFT (ωB97M-V/def2-TZVPD) results for 2 unconnected molecules or ions with the total composition C2H4N2OS.

Values from the calculation:
HOMO level = -10.4 eV
Kohn-Sham gap = 0.38963 Ha

Element x y z (Å)
C1 -1.53 0.37 -0.39
C2 -1.49 -0.49 0.77
N1 -1.66 0.94 -1.38
N2 -0.32 -1.17 1.01
O1 -2.55 -0.56 1.38
S1 2.70 0.71 -0.95
H1 -0.23 -1.50 2.02
H2 0.63 -0.89 0.55
H3 1.90 1.71 -0.66
H4 2.56 0.88 -2.34

Löwdin atomic charge list, values in e, 2 entries: atom 1 (C): -0.141, atom 2 (C): -0.549

***

3.
DFT (ωB97M-V/def2-TZVPD) results for 2 unconnected molecules or ions with the total composition C5H13NO2.

Values from the calculation:
HOMO level = -9.2 eV
Kohn-Sham gap = 0.35881 Ha

Element x y z (Å)
C1 1.27 -1.36 -1.57
N1 0.13 -1.05 -0.73
C2 -0.52 1.48 2.09
C3 -0.63 0.75 0.75
C4 0.44 -0.30 0.49
C5 0.36 -1.33 1.64
O1 1.15 -1.32 2.55
H1 0.90 -1.89 -2.45
H2 1.88 -2.11 -1.06
H3 1.87 -0.54 -1.98
H4 -0.59 -0.56 -1.24
H5 -1.38 2.12 2.22
H6 0.40 2.04 2.17
H7 -0.56 0.80 2.93
H8 -0.70 1.52 -0.03
H9 -1.61 0.27 0.69
H10 1.47 0.06 0.57
H11 -0.38 -2.15 1.53
H12 -1.00 0.54 -3.26
H13 -1.56 1.52 -2.27
O2 -0.97 1.48 -3.03

Löwdin atomic charge list, values in e, 2 entries: atom 1 (C): -0.130, atom 2 (N): -0.090

***

4.
DFT (ωB97M-V/def2-TZVPD) results for C4H11PSi in the gas phase.

Values from the calculation:
HOMO level (spin up / spin down) = -8.6 / -9.1 eV
Spin multiplicity = 3
Kohn-Sham gap (spin up / spin down) = 0.35184 / 0.29248 Ha

Element x y z (Å)
C1 0.89 1.31 1.92
C2 0.49 0.96 0.51
C3 -1.70 -0.44 -0.80
C4 0.98 -2.11 -0.71
Si1 -0.19 -0.87 0.18
P1 -1.24 -2.07 1.71
H1 -0.09 1.36 2.52
H2 1.42 2.25 1.96
H3 1.58 0.52 2.21
H4 1.34 1.01 -0.23
H5 -0.33 1.55 0.26
H6 -2.36 0.08 -0.16
H7 -1.45 0.11 -1.70
H8 -2.30 -1.27 -1.25
H9 0.45 -3.02 -1.09
H10 1.64 -1.61 -1.50
H11 1.65 -2.57 0.13

Löwdin atomic charge list, values in e, 2 entries: atom 1 (C): -0.194, atom 2 (C): -0.352

***

5.
DFT (ωB97M-V/def2-TZVPD) results for 10 unconnected molecules or ions with the total composition C28H82N14O10.

Values from the calculation:
Total charge = +1
HOMO level (spin up / spin down) = -10.3 / -10.3 eV
Spin multiplicity = 2
Kohn-Sham gap (spin up / spin down) = 0.27860 / 0.05948 Ha

Element x y z (Å)
C1 -3.34 -2.97 -5.65
C2 -2.41 -1.73 -5.38
C3 -1.69 -1.76 -4.00
O1 -2.73 -1.76 -3.11
C4 -2.28 -1.57 -1.77
N1 -1.50 -1.67 -6.49
H1 -2.93 -3.96 -5.46
H2 -3.70 -2.88 -6.68
H3 -4.23 -3.00 -5.01
H4 -2.95 -0.79 -5.38
H5 -1.23 -0.77 -3.97
~~~
Yerger wrote in the editorial paper, What more evidence is needed? Remove menthol cigarettes from the marketplace—now, “It is long past time for the FDA to get inoculated against whatever the hell is keeping it from getting these deadly products out of the marketplace.”
== Someone pasted data records at this point ==
........
Entry 1:
Here is a 2-piece molecular cluster, C8H10 overall from the Open Molecules 2025 dataset. Energies are from wB97M-V/def2-TZVPD.

- Orbital gap: 10.22 eV
- Highest occupied orbital energy: -9.18 eV
- E_tot: -310.729646 a.u.
- Structure (SMILES): c1ccccc1.C=C
- Net charge: 0
- F_max: 0.1054 hartree/bohr

Geometry (Å):
C (0.8410, 1.3728, -0.1820)
C (-0.1329, 0.4385, -0.5069)
C (0.1375, -0.9250, -0.3807)
C (1.3805, -1.3701, 0.0497)
C (2.3490, -0.4054, 0.3902)
C (2.1224, 0.9583, 0.2317)
H (0.6670, 2.4196, -0.3738)
H (-1.0969, 0.7698, -0.8390)
H (-0.5866, -1.6445, -0.7173)
H (1.6395, -2.4038, 0.1450)
H (3.3315, -0.7042, 0.7439)
H (2.9265, 1.6949, 0.3783)
C (-3.3695, 0.1502, 0.6263)
C (-2.5509, -0.2522, -0.2565)
H (-3.9641, 1.0901, 0.5604)
H (-3.1754, -0.1337, 1.6653)
H (-2.4197, 0.1327, -1.2281)
H (-1.9837, -1.0238, -0.1652)

***

Entry 2:
Here is a 13-piece molecular cluster, C39H108N4O17 overall from the Open Molecules 2025 dataset. Energies are from wB97M-V/def2-TZVPD.

- Orbital gap: 8.72 eV
- Highest occupied orbital energy: -8.42 eV
- E_tot: -3048.571837 a.u.
- Net charge: 0
- F_max: 0.0631 hartree/bohr

Geometry (Å):
C (-0.6736, -3.4129, -2.2923)
C (-2.1017, -3.4975, -1.8049)
C (-2.9986, -2.3820, -2.4239)
O (-4.3422, -2.4219, -1.8940)
C (-5.2152, -1.5487, -2.6240)
N (-2.6445, -4.8191, -2.0443)
H (-0.0696, -4.0592, -1.6555)
H (-0.1351, -2.4679, -2.2207)
H (-0.4157, -3.9256, -3.2190)
H (-2.1168, -3.3557, -0.7243)
H (-2.9290, -2.3920, -3.5117)
H (-2.5367, -1.4163, -2.2189)
H (-5.2560, -1.7105, -3.7012)
H (-4.9030, -0.5145, -2.4789)
H (-6.1819, -1.7941, -2.1844)
H (-2.8496, -4.8703, -3.0319)
H (-3.5700, -4.9961, -1.6806)
C (-1.5525, 4.2464, 0.9854)
C (-0.4808, 4.5247, -0.0534)
C (-0.5162, 5.9301, -0.5395)
O (-1.7305, 6.1893, -1.2712)
C (-2.0543, 7.4979, -1.6837)
N (0.7716, 4.1685, 0.4713)
H (-1.5691, 4.9373, 1.8283)
H (-1.5958, 3.2609, 1.4490)
H (-2.5373, 4.3339, 0.5265)
H (-0.6387, 3.7637, -0.8176)
H (0.2532, 6.1619, -1.2760)
H (-0.4866, 6.7708, 0.1536)
H (-1.9350, 8.1761, -0.8388)
H (-3.1072, 7.4840, -1.9653)
H (-1.4657, 7.9780, -2.4655)
H (0.7549, 3.2240, 0.8286)
H (1.3985, 4.1540, -0.3205)
C (4.8040, -0.9843, -1.9089)
C (5.5958, -1.3432, -0.6540)
C (7.0040, -1.8679, -0.9851)
O (6.8954, -3.1594, -1.6472)
C (7.8432, -3.4297, -2.6386)
N (5.7084, -0.1518, 0.0903)
H (3.7556, -0.9274, -1.6161)
H (4.8842, -1.7780, -2.6517)
H (5.0910, -0.0536, -2.3982)
H (5.0634, -2.0510, -0.0186)
H (7.5961, -1.9650, -0.0751)
H (7.5454, -1.1861, -1.6409)
H (8.0576, -2.6734, -3.3937)
H (7.6206, -4.4028, -3.0764)
H (8.8019, -3.5556, -2.1356)
H (6.2464, 0.4459, -0.5208)
H (6.3395, -0.3477, 0.8541)
C (2.9236, -4.3614, -1.0424)
C (2.7493, -4.3634, 0.5366)
C (1.2492, -4.6055, 0.9426)
O (1.1233, -4.8780, 2.3576)
C (0.8528, -3.7590, 3.2428)
N (3.6776, -5.4416, 0.9214)
H (2.4440, -3.5227, -1.5469)
H (2.4556, -5.3073, -1.3152)
H (3.9641, -4.3826, -1.3663)
H (2.9911, -3.3895, 0.9624)
H (0.8514, -5.5363, 0.5384)
H (0.7381, -3.7410, 0.5189)
H (-0.2176, -3.5848, 3.3524)
........
Because to Dr. Yerger, “It will not only add years to people’s lives, but it will increase the quality of their life.
Valerie B. Yerger, ND is a licensed naturopathic doctor and Professor in Health Policy at the University of California, San Francisco. She is also a founding member of the African American Tobacco Control Leadership Council (AATCLC).